Wanted >
Now echo all of the calculation results below without altering anything.
Source >
____________
(1)
This record from Alexandria describes a geometry-optimized KReSbTe2 structure. The functional is GGA-PBE.

For the magnetic moment, the calculation gives 4.9 Bohr magnetons per cell. The calculation puts the total energy at -3.396 eV/atom. The energy above the most stable polymorph in this dataset comes out at 1.126 eV/atom.

The space group is P4/mmm (No. 123) and the conventional cell measures 5.8225, 5.8225 and 6.3164 Å, with angles of 90.00, 90.00 and 90.00 degrees. The distinct sites, in fractional coordinates, are K at (0.0000, 0.0000, 0.0000), Re at (0.5000, 0.5000, 0.0000), Sb at (0.0000, 0.0000, 0.5000) and Te at (0.0000, 0.5000, 0.5000).

(2)
This record from Alexandria describes a geometry-optimized KReSbTe2 structure. The functional is GGA-PBE.

For the magnetic moment, the calculation gives 0.1 Bohr magnetons per cell. The calculation puts the total energy at -2.351 eV/atom. The energy above the most stable polymorph in this dataset comes out at 2.172 eV/atom.

The space group is P4/mmm (No. 123) and the conventional cell measures 5.6875, 5.6875 and 5.4639 Å, with angles of 90.00, 90.00 and 90.00 degrees. The distinct sites, in fractional coordinates, are K at (0.0000, 0.0000, 0.0000), Re at (0.5000, 0.5000, 0.5000), Sb at (0.0000, 0.0000, 0.5000) and Te at (0.0000, 0.5000, 0.0000).

(3)
This record from Alexandria describes a geometry-optimized KTiRe2Sb structure. The functional is GGA-PBE.

For the magnetic moment, the calculation gives 1.1 Bohr magnetons per cell. The calculation puts the total energy at -4.687 eV/atom.

The space group is P4/mmm (No. 123) and the conventional cell measures 4.6823, 4.6823 and 4.4233 Å, with angles of 90.00, 90.00 and 90.00 degrees. The distinct sites, in fractional coordinates, are K at (0.0000, 0.0000, 0.0000), Ti at (0.0000, 0.0000, 0.5000), Re at (0.0000, 0.5000, 0.0000) and Sb at (0.5000, 0.5000, 0.5000).

(4)
This record from Alexandria describes a geometry-optimized KTlReSb2 structure. The functional is GGA-PBE.

For the magnetic moment, the calculation gives 4.5 Bohr magnetons per cell. The calculation puts the total energy at -2.759 eV/atom.

The space group is P4/mmm (No. 123) and the conventional cell measures 5.9091, 5.9091 and 5.6791 Å, with angles of 90.00, 90.00 and 90.00 degrees. The distinct sites, in fractional coordinates, are K at (0.0000, 0.0000, 0.0000), Tl at (0.0000, 0.0000, 0.5000), Re at (0.5000, 0.5000, 0.5000) and Sb at (0.0000, 0.5000, 0.0000).

(5)
This record from Alexandria describes a geometry-optimized KReSbW2 structure. The functional is GGA-PBE.

For the magnetic moment, the calculation gives 0.0 Bohr magnetons per cell. The calculation puts the total energy at -4.919 eV/atom.

The space group is P4/mmm (No. 123) and the conventional cell measures 4.4860, 4.4860 and 5.1102 Å, with angles of 90.00, 90.00 and 90.00 degrees. The distinct sites, in fractional coordinates, are K at (0.0000, 0.0000, 0.0000), Re at (0.5000, 0.5000, 0.5000), Sb at (0.0000, 0.0000, 0.5000) and W at (0.0000, 0.5000, 0.0000).

(6)
This record from Alexandria describes a geometry-optimized KSc2Re structure. The functional is GGA-PBE.

For the magnetic moment, the calculation gives 0.0 Bohr magnetons per cell. The formation energy comes out at 1.014 eV/atom. The calculation puts the total energy at -5.538 eV/atom. The energy above the most stable polymorph in this dataset comes out at 0.859 eV/atom.

The space group is I-4m2 (No. 119) and the conventional cell measures 4.3604, 4.3604 and 9.3146 Å, with angles of 90.00, 90.00 and 90.00 degrees. The distinct sites, in fractional coordinates, are K at (0.0000, 0.0000, 0.0000), Sc at (0.0000, 0.0000, 0.5000), Sc at (0.0000, 0.5000, 0.2500) and Re at (0.0000, 0.5000, 0.7500).

(7)
This record from Alexandria describes a geometry-optimized K2ScRe structure. The functional is GGA-PBE.
____________
Result >
(1)
This record from Alexandria describes a geometry-optimized KReSbTe2 structure. The functional is GGA-PBE.

For the magnetic moment, the calculation gives 4.9 Bohr magnetons per cell. The calculation puts the total energy at -3.396 eV/atom. The energy above the most stable polymorph in this dataset comes out at 1.126 eV/atom.

The space group is P4/mmm (No. 123) and the conventional cell measures 5.8225, 5.8225 and 6.3164 Å, with angles of 90.00, 90.00 and 90.00 degrees. The distinct sites, in fractional coordinates, are K at (0.0000, 0.0000, 0.0000), Re at (0.5000, 0.5000, 0.0000), Sb at (0.0000, 0.0000, 0.5000) and Te at (0.0000, 0.5000, 0.5000).

(2)
This record from Alexandria describes a geometry-optimized KReSbTe2 structure. The functional is GGA-PBE.

For the magnetic moment, the calculation gives 0.1 Bohr magnetons per cell. The calculation puts the total energy at -2.351 eV/atom. The energy above the most stable polymorph in this dataset comes out at 2.172 eV/atom.

The space group is P4/mmm (No. 123) and the conventional cell measures 5.6875, 5.6875 and 5.4639 Å, with angles of 90.00, 90.00 and 90.00 degrees. The distinct sites, in fractional coordinates, are K at (0.0000, 0.0000, 0.0000), Re at (0.5000, 0.5000, 0.5000), Sb at (0.0000, 0.0000, 0.5000) and Te at (0.0000, 0.5000, 0.0000).

(3)
This record from Alexandria describes a geometry-optimized KTiRe2Sb structure. The functional is GGA-PBE.

For the magnetic moment, the calculation gives 1.1 Bohr magnetons per cell. The calculation puts the total energy at -4.687 eV/atom.

The space group is P4/mmm (No. 123) and the conventional cell measures 4.6823, 4.6823 and 4.4233 Å, with angles of 90.00, 90.00 and 90.00 degrees. The distinct sites, in fractional coordinates, are K at (0.0000, 0.0000, 0.0000), Ti at (0.0000, 0.0000, 0.5000), Re at (0.0000, 0.5000, 0.0000) and Sb at (0.5000, 0.5000, 0.5000).

(4)
This record from Alexandria describes a geometry-optimized KTlReSb2 structure. The functional is GGA-PBE.

For the magnetic moment, the calculation gives 4.5 Bohr magnetons per cell. The calculation puts the total energy at -2.759 eV/atom.

The space group is P4/mmm (No. 123) and the conventional cell measures 5.9091, 5.9091 and 5.6791 Å, with angles of 90.00, 90.00 and 90.00 degrees. The distinct sites, in fractional coordinates, are K at (0.0000, 0.0000, 0.0000), Tl at (0.0000, 0.0000, 0.5000), Re at (0.5000, 0.5000, 0.5000) and Sb at (0.0000, 0.5000, 0.0000).

(5)
This record from Alexandria describes a geometry-optimized KReSbW2 structure. The functional is GGA-PBE.

For the magnetic moment, the calculation gives 0.0 Bohr magnetons per cell. The calculation puts the total energy at -4.919 eV/atom.

The space group is P4/mmm (No. 123) and the conventional cell measures 4.4860, 4.4860 and 5.1102 Å, with angles of 90.00, 90.00 and 90.00 degrees. The distinct sites, in fractional coordinates, are K at (0.0000, 0.0000, 0.0000), Re at (0.5000, 0.5000, 0.5000), Sb at (0.0000, 0.0000, 0.5000) and W at (0.0000, 0.5000, 0.0000).

(6)
This record from Alexandria describes a geometry-optimized KSc2Re structure. The functional is GGA-PBE.

For the magnetic moment, the calculation gives 0.0 Bohr magnetons per cell. The formation energy comes out at 1.014 eV/atom. The calculation puts the total energy at -5.538 eV/atom. The energy above the most stable polymorph in this dataset comes out at 0.859 eV/atom.

The space group is I-4m2 (No. 119) and the conventional cell measures 4.3604, 4.3604 and 9.3146 Å, with angles of 90.00, 90.00 and 90.00 degrees. The distinct sites, in fractional coordinates, are K at (0.0000, 0.0000, 0.0000), Sc at (0.0000, 0.0000, 0.5000), Sc at (0.0000, 0.5000, 0.2500) and Re at (0.0000, 0.5000, 0.7500).

(7)
This record from Alexandria describes a geometry-optimized K2ScRe structure. The functional is GGA-PBE.